I don’t know of anyone who have learned anything worthy or became anything close to Human from constant, lazy, relaxed, carefree pleasure. No, not a temporary spark of pleasure that happens once in a while and not the type of relaxation we might need to regain strength... I mean constant, greedy, slimy pleasure that becomes a lifestyle for years. The idea of hedonism is alien to me.
Yet this is what many of us practice. Including me. I may say all I want that I don’t want this, but one just has to look at my entire life and my small everyday actions to figure out that most of it revolves around refusing to be too uncomfortable. I mean, yes, you might see me pushing myself and all that... but only to a certain degree. And in real practice of life that degree of pushing and doing something is just an illusion, a lie.
== Between two parts of the piece: quantum chemistry results ==
- - -
(1)
Entry from OMol25: a 6-piece molecular cluster, C30H72N4O6 overall at a distorted geometry (ωB97M-V with the def2-TZVPD basis set).

Atoms and positions in Å:
C -3.108 -0.474 19.239
O -3.144 0.388 20.333
H -2.991 0.082 18.302
H -2.309 -1.243 19.294
H -3.982 -1.151 19.152
C 0.007 -3.113 21.283
C -0.236 -1.631 21.033
C 0.961 -1.070 20.270
N 1.052 0.414 20.112
C 2.374 0.806 19.519
C 2.496 0.548 18.034
C 1.355 1.139 17.204
C 0.041 0.586 17.786
C -0.108 0.935 19.248
C 0.912 1.120 21.415
H 0.082 -3.635 20.332
H -0.756 -3.562 21.917
H 0.931 -3.225 21.859
H -0.361 -1.034 21.939
H -1.166 -1.491 20.489
H 0.973 -1.553 19.298
H 1.866 -1.294 20.839
H 3.183 0.343 20.089
H 2.533 1.865 19.740
H 2.605 -0.522 17.847
H 3.421 1.024 17.699
H 1.413 0.706 16.207
H 1.426 2.226 17.171
H 0.140 -0.496 17.688
H -0.795 0.936 17.186
H -0.989 0.450 19.662
H -0.157 2.015 19.381
H 1.703 0.735 22.056
H -0.094 0.985 21.808
H 1.019 2.189 21.251
C -2.839 3.893 19.519
C -2.483 3.837 21.012
C -3.597 3.382 21.928
N -3.535 3.965 23.325
C -2.205 3.599 23.917
C -1.752 4.454 25.103
C -1.948 5.945 24.834
C -3.416 6.153 24.556
C -3.790 5.458 23.259
C -4.655 3.375 24.104
H -3.138 2.913 19.141
H -1.937 4.165 18.970
H -3.590 4.650 19.295
H -2.204 4.874 21.218
H -1.590 3.217 21.067
H -3.633 2.295 22.052
H -4.577 3.634 21.513
H -1.421 3.712 23.167
H -2.248 2.516 24.060
H -0.721 4.205 25.355
H -2.330 4.116 25.971
H -1.318 6.383 24.060
H -1.646 6.386 25.787
H -3.703 7.203 24.499
H -4.012 5.760 25.384
H -3.167 5.863 22.465
H -4.823 5.607 22.950
H -5.551 3.561 23.516
H -4.727 3.880 25.059
H -4.502 2.303 24.201
C -7.148 -0.254 18.018
N -7.003 0.762 19.113
C -6.524 0.062 20.343
C -5.939 1.750 18.744
C -8.253 1.465 19.532
C -8.854 2.458 18.543
O -8.944 1.953 17.232
H -7.906 -0.990 18.267
H -6.157 -0.696 17.930
H -7.355 0.327 17.129
H -7.322 -0.593 20.682
H -6.408 0.821 21.124
H -5.516 -0.339 20.240
H -6.151 2.234 17.795
H -4.960 1.283 18.810
H -6.023 2.518 19.520
H -8.068 1.924 20.502
H -9.007 0.691 19.705
H -8.271 3.379 18.506
H -9.853 2.751 18.880
H -9.659 1.310 17.170
C -1.639 -0.415 25.446
N -2.430 -1.680 25.390
C -1.585 -2.864 25.002
C -2.941 -1.969 26.782
C -3.618 -1.620 24.473
C -3.392 -1.311 23.019
O -2.688 -0.123 22.814
H -0.868 -0.486 26.207
H -2.360 0.372 25.652
H -1.208 -0.278 24.459
H -2.219 -3.743 25.013
H -0.693 -2.886 25.619
H -1.283 -2.668 23.972
H -3.378 -1.099 27.260
H -2.050 -2.163 27.385
H -3.486 -2.903 26.709
H -4.285 -0.891 24.946
H -4.151 -2.568 24.556
H -4.353 -1.441 22.500
H -2.882 -2.161 22.523
H -2.847 0.075 21.817
O -2.797 -0.759 16.286
C -3.684 -0.199 15.332
O -3.397 -0.390 14.167
O -4.684 0.395 15.838
H -3.205 -0.516 17.122

Its total charge is +2. As for the frontier orbital gap: 5.159 eV. For the maximum force, the calculation gives 1.58 eV Å⁻¹. The relative energy (zero: lowest compared OMol25 entry of this formula, charge and spin) comes out at 0.7181 eV.

=====

(2)
- - -
This is what most of us do. We tell ourselves we do all we can, we do so much, we should not be so hard on ourselves... but the truth is that all this pushing often goes in the wrong direction, or maybe just isn’t enough AT ALL, like if you’re building a fortress and you lift one stone per day and it exhausts you and makes you feel like you are already a hero... but it’s just one of a hundred stones you could potentially lift...
Many humans of today do things and engage in behaviors that guarantee and provide maximum security, bodily comfort, psychological certainty, and saturated, tasty sensations delivered via food, entertainment, sex, and even so-called “spiritual practices” or “healthy lifestyle” (since both of these - with the illusory presence of slight pushing, achieving, gaining, growing - are just a part of this system of lies as well).
I was told today that most of us exist in numbness. Our true, real feelings and sensations are being numbed by the owners of this world through various channels. Our central nervous systems and brain is already under total control. What we think we “feel” as our feelings are most of the time not ours - they are programmed, as well as our emotional responses, reactions, tiredness, cravings, need to sleep...
If a human being could feel and see what is going on in this world for real, he or she would most likely die immediately from the shock of pain throughout the entire body, like if all your teeth were being pulled out of your jaw at once.
We are being numbed not to feel or see what is going on for real so that everything keeps going as normal, so that no one knows or cares because, well, we are hooked on comfort and pleasure (physical and psychological) so much that no one will willingly step out of it to glimpse at the horror covered by all these sensory and visual veils.
<<<
{
  "formula": "C26H40NO4",
  "method": "wB97M-V/def2-TZVPD",
  "homo_lumo_gap_ev": 4.87,
  "e_homo_ev": -2.685,
  "energy_ev": -37288.41963,
  "charge": -1,
  "species": ["C", "C", "C", "C", "C", "C", "C", "C", "C", "C", "C", "C", "O", "O", "C", "C", "C", "C", "C", "O", "N", "C", "C", "C", "C", "C", "C", "H", "H", "H", "H", "H", "H", "H", "H", "H", "H", "H", "H", "H", "H", "H", "H", "H", "H", "H", "H", "H", "H", "H", "H", "H", "H", "H", "H", "H", "H", "H", "H", "H", "C", "C", "C", "O", "H", "H", "H", "H", "H", "H", "H"],
  "coordinates": [[-1.4832, -2.0044, -3.6891], [-0.9647, -3.2931, -3.0442], [-1.5434, -4.6239, -3.4343], [0.0011, -3.1697, -2.0817], [-0.2862, -2.2892, -0.8678], [0.8230, -2.3272, 0.2188], [0.3618, -3.1778, 1.4276], [1.5980, -3.8493, 2.0549], [-0.5274, -2.4329, 2.4406], [0.1131, -1.1791, 3.0574], [-0.8722, -0.0247, 3.4330], [-0.0969, 1.2567, 2.9737], [0.6204, 1.9629, 3.6374], [-0.4081, 1.4674, 1.6599], [-1.3990, 0.5077, 1.2530], [-2.1053, 0.2135, 2.5633], [-3.0071, 1.3806, 2.9873], [-4.0433, 1.8278, 1.9271], [-3.6952, 3.1553, 1.2288], [-3.6999, 4.1787, 1.8838], [-3.4150, 3.2085, -0.1753], [-2.0223, 3.2474, -0.5307], [-1.1667, 4.1693, 0.0146], [0.1751, 4.1713, -0.3009], [0.6688, 3.2450, -1.1753], [-0.1773, 2.3431, -1.7650], [-1.5023, 2.3560, -1.4370], [-0.6566, -1.4005, -4.0539], [-2.2597, -2.1938, -4.4327], [-1.9658, -1.4076, -2.9014], [-1.6274, -4.7889, -4.5155], [-2.5647, -4.6451, -3.0318], [-0.9944, -5.4084, -2.9092], [0.9700, -3.6539, -2.2138], [-0.3563, -1.2519, -1.2241], [-1.2363, -2.5806, -0.4146], [1.0307, -1.2919, 0.5014], [1.7615, -2.7249, -0.1728], [-0.2530, -3.9867, 1.0106], [1.3987, -4.3258, 3.0190], [2.4632, -3.1825, 2.0896], [1.8989, -4.6572, 1.3764], [-1.5021, -2.2619, 1.9765], [-0.7102, -3.1347, 3.2651], [0.8916, -0.7561, 2.4190], [0.6123, -1.4601, 3.9870], [-0.9974, 0.1384, 4.5049], [-2.0787, 0.8095, 0.4598], [-0.8123, -0.2944, 0.7974], [-2.7352, -0.6844, 2.5741], [-2.4416, 2.2638, 3.2996], [-3.5873, 1.0332, 3.8469], [-5.0509, 1.9262, 2.3327], [-4.1070, 1.0686, 1.1340], [-3.8680, 2.4423, -0.6612], [-1.5371, 4.9141, 0.7105], [0.8166, 4.8972, 0.1808], [1.7324, 3.1960, -1.4321], [0.1877, 1.5990, -2.4619], [-2.1996, 1.6415, -1.8807], [5.3103, 0.6377, -1.4420], [4.8007, 1.7102, -2.4308], [5.5432, 3.0308, -2.1293], [3.4723, 1.8913, -2.2481], [5.1075, 0.9240, -0.4067], [4.8296, -0.3252, -1.6337], [6.3994, 0.4877, -1.5390], [5.1551, 1.3851, -3.4431], [5.3462, 3.3732, -1.1099], [5.2329, 3.8165, -2.8224], [6.6351, 2.9105, -2.2347]],
  "lowdin_charge": [-0.05, -0.34, -0.08, -0.08, -0.19, -0.16, -0.38, -0.08, -0.16, -0.12, -0.15, -0.44, 0.13, 0.05, -0.10, -0.26, -0.12, -0.09, -0.42, 0.09, 0.11, -0.29, -0.04, -0.07, -0.07, -0.07, -0.09, 0.08, 0.07, 0.07, 0.07, 0.08, 0.07, 0.11, 0.10, 0.11, 0.10, 0.11, 0.13, 0.07, 0.08, 0.08, 0.10, 0.11, 0.11, 0.12, 0.15, 0.11, 0.10, 0.14, 0.13, 0.12, 0.12, 0.11, 0.11, 0.11, 0.11, 0.09, 0.11, 0.11, -0.13, -0.72, -0.13, -0.33, 0.06, 0.05, 0.05, 0.10, 0.06, 0.05, 0.05]
}



{
>>>
Here the text continues.
You can take it as a theory or some crazy mumbling of a paranoid woman here... Or maybe think about it, or try to find out more. I don’t know.
### Calculated molecules, as found in the file
=====
Molecular formula: C18H36FNO15P
Method: DFT, ωB97M-V/def2-TZVPD

Kohn-Sham gap   6.85 eV
Charge   -1
HOMO energy   -4.69 eV
Lowest unoccupied orbital energy   2.2 eV
Strongest force on any atom   1.7 eV Å⁻¹

CARTESIAN COORDINATES (ANGSTROEM)
O1 2.32708 -5.21672 3.63433
P1 2.27222 -4.99817 2.17312
C1 0.69516 -5.51855 1.37253
N1 0.61773 -6.96082 1.51408
F1 0.04393 -7.34090 2.71868
C2 -0.53289 -4.68983 1.86636
O2 -0.89310 -4.70180 3.04887
O3 -1.06105 -4.01846 0.94759
H1 2.58951 -3.67092 1.78889
H2 3.29926 -5.79661 1.59680
H3 0.79780 -5.29103 0.31321
H4 0.12858 -7.38605 0.74013
C3 0.34412 -0.60138 1.73756
C4 -0.31404 -0.43533 0.39118
O4 0.36803 0.55659 -0.41778
C5 1.49774 0.15567 -0.97984
O5 1.99586 -0.93250 -0.89769
O6 2.01292 1.19272 -1.66285
C6 3.28610 0.92527 -2.24774
H5 0.43252 0.36160 2.24684
H6 -0.23399 -1.28275 2.36110
H7 1.35106 -1.00544 1.63502
H8 -1.33002 -0.06639 0.52060
H9 -0.37748 -1.38400 -0.14120
H10 3.25843 0.02624 -2.86042
H11 4.04287 0.82671 -1.47050
H12 3.53127 1.77693 -2.87727
C7 -3.03835 6.64320 -2.00694
C8 -3.99808 5.53476 -2.38674
O7 -3.33250 4.47195 -3.07594
C9 -2.62633 3.64380 -2.29857
O8 -2.52819 3.71721 -1.10239
O9 -2.04950 2.73949 -3.07826
C10 -1.18348 1.82636 -2.38300
H13 -2.49401 6.99296 -2.88545
H14 -3.57820 7.48223 -1.56687
H15 -2.30145 6.29265 -1.28564
H16 -4.74621 5.91569 -3.08036
H17 -4.52655 5.14719 -1.51578
H18 -1.69795 1.35010 -1.55585
H19 -0.29850 2.34663 -2.03183
H20 -0.88534 1.06338 -3.09786
C11 2.67863 2.57426 7.60692
C12 1.53603 3.56765 7.62521
O10 1.45693 4.30707 6.39954
C13 0.91633 3.64575 5.37411
O11 0.48994 2.52464 5.40345
O12 0.94037 4.44455 4.30806
C14 0.46723 3.82601 3.10713
H21 3.61588 3.07671 7.36269
H22 2.77865 2.08945 8.57808
H23 2.51661 1.80384 6.85457
H24 1.70109 4.30737 8.40720
H25 0.58432 3.07876 7.83260
H26 -0.51987 3.39195 3.24692
H27 1.17099 3.06426 2.77523
H28 0.40367 4.60160 2.34935
C15 0.71642 -2.03423 -3.47179
C16 0.53624 -2.08149 -4.97480
O13 0.10953 -3.37907 -5.41539
C17 -1.17940 -3.64608 -5.21754
O14 -1.99314 -2.90298 -4.74088
O15 -1.41326 -4.89189 -5.63510
C18 -2.74767 -5.34119 -5.39527
H29 1.38855 -2.82513 -3.14015
H30 1.12530 -1.07575 -3.16822
H31 -0.23268 -2.18141 -2.95683
H32 1.49045 -1.89853 -5.46743
H33 -0.16107 -1.31801 -5.32183
H34 -3.47630 -4.64511 -5.80536
H35 -2.91209 -5.47353 -4.32708
H36 -2.85263 -6.30116 -5.89354

Forces on atoms 1 to 2 (eV/Å):
0.1776 0.2743 0.3627
-0.1310 -0.7618 1.0252

Molecular formula: C18H36MgNO21
Method: DFT, ωB97M-V/def2-TZVPD

Kohn-Sham gap (spin up / spin down)   7.03 / 2.94 eV
Charge   +2
HOMO energy (spin up / spin down)   -14.23 / -14.22 eV
Lowest unoccupied orbital energy (spin up / spin down)   -7.2 / -11.3 eV
Spin multiplicity   2
Expectation value of S²   0.757
Strongest force on any atom   4.1 eV Å⁻¹

CARTESIAN COORDINATES (ANGSTROEM)
Mg1 -27.77446 -4.73656 24.65952
N1 -24.98145 -5.59034 25.85261
O1 -24.21116 -6.42828 25.41825
O2 -24.88238 -5.18445 27.03807
O3 -25.78030 -5.08615 25.04491
C1 -29.89463 -1.74326 26.31477
=====
### The calculated molecules stop here
The uncomfortablity of one's existence is not an idea many want to think about, so we cacoon ourselves in various ways and created this modern-day living which allows for layers of distraction and removing active thought that could lead to moving you into a mindset where you ponder these things. We're constantly in a state of stimulus and never processing anything
It's like we would rather not exercise and eat healthy we rather want a pill to do it, we would rather do something else than do what is hard. In previous times this sort of thinking got you nowhere but now in our life of convenience, you can still live a life of rewards in the various stimuli and fake rewards without ever having to do anything hard.
Yes, and many even call it “progress” )) when in fact we as living human beings are regressing while the systems which contain us and make our world comfortably numb develop more and more ...